[Exercise]
It remains to copy all of the notes further below verbatim.

[Input]
(1)
A cluster of 2 separate species, C22H24BFO11PS in total. Source: the OMol25 dataset; level of theory: ωB97M-V/def2-TZVPD.

Geometry as XYZ:
```
61
Properties=species:S:1:pos:R:3
S -5.5161 3.5776 -1.7449
P 5.3694 -4.6358 1.3324
F -5.9344 3.1839 -3.3256
O -4.9403 4.9930 -1.8076
O -3.7566 1.1170 -3.2403
O -0.3707 -1.0609 1.0100
O 3.8435 -4.4693 1.2816
O -5.9219 0.2223 -2.3304
O 6.0097 -3.3070 1.7610
O 5.7352 -5.7317 2.3458
O 5.8872 -5.0243 -0.0617
O -4.5606 -1.0546 -4.0845
O -2.8689 2.5658 3.5345
O -6.6729 3.6322 -0.7813
C -3.7310 2.8447 0.4239
C -2.2223 0.5727 -1.2223
C 1.8746 1.0947 1.9088
C -0.4097 -4.1471 -0.4963
C 4.5078 1.5393 0.0646
C -0.4014 -2.8865 -1.5186
C 4.1292 0.1412 0.7644
C -4.1456 2.5144 -1.0679
C -0.4603 2.3684 2.7112
C -2.5735 2.0524 1.0716
C -1.4603 -0.5619 -2.0607
C 4.5820 -1.0250 -0.2887
C -1.8080 0.9064 0.2496
C 2.6449 2.1518 2.7429
C -3.3985 1.3897 -1.8723
C -2.0660 2.3693 2.5661
C 0.3334 3.4209 3.5375
C -0.6028 0.1972 1.0315
C 0.2912 1.2206 1.9030
C 1.8926 3.2901 3.5344
C 2.5604 -0.0743 1.0332
C -1.7998 -2.0734 -1.5376
B -4.7778 0.1023 -3.2064
H -1.4391 -4.6485 -0.4066
H 3.7977 2.0904 2.7233
H 4.3001 -2.0351 0.2208
H 0.4116 -2.1653 -1.1184
H 4.4770 1.3989 -1.0821
H -1.8195 -0.4851 -3.1508
H -4.5273 -1.8065 -3.4393
H 5.5770 1.8666 0.3750
H 2.0352 -0.0235 -0.0020
H -4.2491 3.6713 1.0098
H -5.6786 -0.1321 -1.4429
H -2.5646 -2.6059 -2.2283
H 2.4861 4.0742 4.1112
H 3.8050 2.4085 0.3037
H 0.0266 -3.8679 0.5290
H 5.7128 -0.9858 -0.4861
H 4.0301 -0.8607 -1.2824
H -0.2506 4.2409 4.0704
H -0.3342 -0.3481 -2.0617
H -0.1020 -3.2619 -2.5724
H 2.3166 -1.1307 1.4354
H -2.2389 -1.9235 -0.4769
H 4.6720 0.0569 1.7674
H 0.2940 -4.9433 -0.9570
```

Values from the calculation:
Total charge: -3
DFT total energy (Ha): -2544.238663
Kohn-Sham gap (eV): 1.572
E_HOMO (eV): 2.27
Max |F| (eV/Å): 5.986
M (g mol⁻¹): 557.27

(2)
A structure of composition C22H24BN10O2S4Tl. Source: the OMol25 dataset; level of theory: ωB97M-V/def2-TZVPD.

Geometry as XYZ:
```
64
Properties=species:S:1:pos:R:3
Tl -0.2377 -0.9499 0.4948
S 2.7341 1.4116 3.9254
S 2.0617 -3.7671 0.5877
S -0.0896 4.6021 -0.8424
S -2.7200 -0.0095 3.5307
O -1.3765 -0.3426 -2.9276
O 0.8963 -0.5012 -2.8943
N 1.9551 0.8622 1.5431
N 2.7712 -1.0928 -0.6169
N -1.5845 2.5233 -1.7438
N 2.9764 -0.9595 2.6049
N 3.6587 -2.1394 -0.8152
N -1.9369 2.5683 3.2069
N -0.0078 2.1655 -0.0330
N -3.0722 1.8057 1.5335
N 4.2528 -4.3317 -0.7810
N -3.0866 0.1021 -0.0708
C -2.8198 3.1463 1.2754
C -3.7511 -0.7489 -0.8504
C -0.8085 0.7224 -6.4068
C -2.5568 1.4466 2.7494
C 0.5775 0.6264 -6.3873
C 2.5228 0.3244 2.5807
C 3.3724 -3.3824 -0.3692
C 0.4968 -0.0878 -4.1368
C -1.5706 0.4098 -5.2802
C -5.8657 0.0617 -0.1063
C -5.1854 0.9433 0.7164
C -0.8844 0.0060 -4.1573
C -5.1355 -0.8055 -0.9027
C 0.9916 4.2035 0.4428
C -2.1067 3.6135 2.3137
C 1.2597 0.2154 -5.2413
C -0.5843 2.9345 -0.9047
C -1.2884 2.6322 4.4971
C 1.6159 2.1717 1.7868
C -3.8024 0.9138 0.6929
C 1.9492 2.6506 3.0080
C 0.8795 2.8871 0.7395
B -0.2705 -0.6627 -2.0825
H -1.6828 4.5863 2.4861
H -2.6508 0.4731 -5.2846
H -1.6012 2.9401 -2.6614
H -5.6993 1.6251 1.3791
H 1.7495 3.6222 3.4268
H -6.9475 0.0456 -0.1161
H -5.6240 -1.5168 -1.5538
H 1.6706 4.9271 0.8604
H 3.2062 -0.3135 -0.1424
H 4.3733 -2.0385 -1.5221
H 1.1396 0.8745 -7.2778
H -0.5357 1.8488 4.5673
H 2.3278 -0.8081 -1.4838
H 2.5564 -1.5755 1.9105
H 3.0896 -1.3886 3.5083
H -2.0180 2.4807 5.2930
H 5.1707 -4.0692 -1.1011
H -3.1269 3.6128 0.3575
H -0.8197 3.6085 4.6014
H 4.1590 -5.2297 -0.3398
H -3.1399 -1.3989 -1.4645
H -1.3064 1.0423 -7.3125
H -1.7101 1.5164 -1.7528
H 2.3385 0.1397 -5.2181
```

Values from the calculation:
DFT total energy (Ha): -3340.988772
ΔE to the lowest compared entry with this formula, charge and spin (kcal/mol): 28.8
Kohn-Sham gap (eV): 6.599
E_HOMO (eV): -6.17
Max |F| (eV/Å): 0.156
M (g mol⁻¹): 803.96

(3)
A structure of composition C22H24BN10OPdS. Source: the OMol25 dataset; level of theory: ωB97M-V/def2-TZVPD.

Geometry as XYZ:
```
60
Properties=species:S:1:pos:R:3

[Reply]
(1)
A cluster of 2 separate species, C22H24BFO11PS in total. Source: the OMol25 dataset; level of theory: ωB97M-V/def2-TZVPD.

Geometry as XYZ:
```
61
Properties=species:S:1:pos:R:3
S -5.5161 3.5776 -1.7449
P 5.3694 -4.6358 1.3324
F -5.9344 3.1839 -3.3256
O -4.9403 4.9930 -1.8076
O -3.7566 1.1170 -3.2403
O -0.3707 -1.0609 1.0100
O 3.8435 -4.4693 1.2816
O -5.9219 0.2223 -2.3304
O 6.0097 -3.3070 1.7610
O 5.7352 -5.7317 2.3458
O 5.8872 -5.0243 -0.0617
O -4.5606 -1.0546 -4.0845
O -2.8689 2.5658 3.5345
O -6.6729 3.6322 -0.7813
C -3.7310 2.8447 0.4239
C -2.2223 0.5727 -1.2223
C 1.8746 1.0947 1.9088
C -0.4097 -4.1471 -0.4963
C 4.5078 1.5393 0.0646
C -0.4014 -2.8865 -1.5186
C 4.1292 0.1412 0.7644
C -4.1456 2.5144 -1.0679
C -0.4603 2.3684 2.7112
C -2.5735 2.0524 1.0716
C -1.4603 -0.5619 -2.0607
C 4.5820 -1.0250 -0.2887
C -1.8080 0.9064 0.2496
C 2.6449 2.1518 2.7429
C -3.3985 1.3897 -1.8723
C -2.0660 2.3693 2.5661
C 0.3334 3.4209 3.5375
C -0.6028 0.1972 1.0315
C 0.2912 1.2206 1.9030
C 1.8926 3.2901 3.5344
C 2.5604 -0.0743 1.0332
C -1.7998 -2.0734 -1.5376
B -4.7778 0.1023 -3.2064
H -1.4391 -4.6485 -0.4066
H 3.7977 2.0904 2.7233
H 4.3001 -2.0351 0.2208
H 0.4116 -2.1653 -1.1184
H 4.4770 1.3989 -1.0821
H -1.8195 -0.4851 -3.1508
H -4.5273 -1.8065 -3.4393
H 5.5770 1.8666 0.3750
H 2.0352 -0.0235 -0.0020
H -4.2491 3.6713 1.0098
H -5.6786 -0.1321 -1.4429
H -2.5646 -2.6059 -2.2283
H 2.4861 4.0742 4.1112
H 3.8050 2.4085 0.3037
H 0.0266 -3.8679 0.5290
H 5.7128 -0.9858 -0.4861
H 4.0301 -0.8607 -1.2824
H -0.2506 4.2409 4.0704
H -0.3342 -0.3481 -2.0617
H -0.1020 -3.2619 -2.5724
H 2.3166 -1.1307 1.4354
H -2.2389 -1.9235 -0.4769
H 4.6720 0.0569 1.7674
H 0.2940 -4.9433 -0.9570
```

Values from the calculation:
Total charge: -3
DFT total energy (Ha): -2544.238663
Kohn-Sham gap (eV): 1.572
E_HOMO (eV): 2.27
Max |F| (eV/Å): 5.986
M (g mol⁻¹): 557.27

(2)
A structure of composition C22H24BN10O2S4Tl. Source: the OMol25 dataset; level of theory: ωB97M-V/def2-TZVPD.

Geometry as XYZ:
```
64
Properties=species:S:1:pos:R:3
Tl -0.2377 -0.9499 0.4948
S 2.7341 1.4116 3.9254
S 2.0617 -3.7671 0.5877
S -0.0896 4.6021 -0.8424
S -2.7200 -0.0095 3.5307
O -1.3765 -0.3426 -2.9276
O 0.8963 -0.5012 -2.8943
N 1.9551 0.8622 1.5431
N 2.7712 -1.0928 -0.6169
N -1.5845 2.5233 -1.7438
N 2.9764 -0.9595 2.6049
N 3.6587 -2.1394 -0.8152
N -1.9369 2.5683 3.2069
N -0.0078 2.1655 -0.0330
N -3.0722 1.8057 1.5335
N 4.2528 -4.3317 -0.7810
N -3.0866 0.1021 -0.0708
C -2.8198 3.1463 1.2754
C -3.7511 -0.7489 -0.8504
C -0.8085 0.7224 -6.4068
C -2.5568 1.4466 2.7494
C 0.5775 0.6264 -6.3873
C 2.5228 0.3244 2.5807
C 3.3724 -3.3824 -0.3692
C 0.4968 -0.0878 -4.1368
C -1.5706 0.4098 -5.2802
C -5.8657 0.0617 -0.1063
C -5.1854 0.9433 0.7164
C -0.8844 0.0060 -4.1573
C -5.1355 -0.8055 -0.9027
C 0.9916 4.2035 0.4428
C -2.1067 3.6135 2.3137
C 1.2597 0.2154 -5.2413
C -0.5843 2.9345 -0.9047
C -1.2884 2.6322 4.4971
C 1.6159 2.1717 1.7868
C -3.8024 0.9138 0.6929
C 1.9492 2.6506 3.0080
C 0.8795 2.8871 0.7395
B -0.2705 -0.6627 -2.0825
H -1.6828 4.5863 2.4861
H -2.6508 0.4731 -5.2846
H -1.6012 2.9401 -2.6614
H -5.6993 1.6251 1.3791
H 1.7495 3.6222 3.4268
H -6.9475 0.0456 -0.1161
H -5.6240 -1.5168 -1.5538
H 1.6706 4.9271 0.8604
H 3.2062 -0.3135 -0.1424
H 4.3733 -2.0385 -1.5221
H 1.1396 0.8745 -7.2778
H -0.5357 1.8488 4.5673
H 2.3278 -0.8081 -1.4838
H 2.5564 -1.5755 1.9105
H 3.0896 -1.3886 3.5083
H -2.0180 2.4807 5.2930
H 5.1707 -4.0692 -1.1011
H -3.1269 3.6128 0.3575
H -0.8197 3.6085 4.6014
H 4.1590 -5.2297 -0.3398
H -3.1399 -1.3989 -1.4645
H -1.3064 1.0423 -7.3125
H -1.7101 1.5164 -1.7528
H 2.3385 0.1397 -5.2181
```

Values from the calculation:
DFT total energy (Ha): -3340.988772
ΔE to the lowest compared entry with this formula, charge and spin (kcal/mol): 28.8
Kohn-Sham gap (eV): 6.599
E_HOMO (eV): -6.17
Max |F| (eV/Å): 0.156
M (g mol⁻¹): 803.96

(3)
A structure of composition C22H24BN10OPdS. Source: the OMol25 dataset; level of theory: ωB97M-V/def2-TZVPD.

Geometry as XYZ:
```
60
Properties=species:S:1:pos:R:3